### Material
Model a:
Computed, not measured: a relaxed structure of LiSiNi6 at the GGA-PBE level of DFT. Values from VASP.

As for the space group: No. 65.

The structure in Quantum ESPRESSO input format:
```
&SYSTEM
  ibrav = 0, nat = 32, ntyp = 3
/
ATOMIC_SPECIES
Si 28.09 Si.upf
Ni 58.69 Ni.upf
Li 6.94 Li.upf
ATOMIC_POSITIONS angstrom
Si 0.0000 0.0000 9.9034
Ni -0.0021 4.3095 4.9405
Li 2.0334 2.8647 0.0027
Ni -0.0254 2.1207 3.7125
Li 4.0290 1.4481 7.4569
Ni 4.0689 1.4198 4.9405
Ni 4.0737 3.6060 8.7124
Si 0.0000 0.0000 5.0104
Ni -0.0021 4.3095 0.0308
Ni -0.0069 2.1234 6.2014
Ni 4.0689 1.4198 0.0308
Ni 2.0068 0.6940 8.7124
Ni -0.0069 2.1234 8.7124
Ni 2.0565 5.0537 1.2588
Li 2.0334 2.8647 4.9686
Ni 0.0000 0.0000 7.4569
Ni 2.0334 2.8647 2.4856
Ni 2.0068 0.6940 6.2014
Ni 2.0334 2.8647 7.4569
Ni 2.0565 5.0537 3.7125
Ni -0.0254 2.1207 1.2588
Ni 4.0922 3.6086 3.7125
Si 0.0850 4.2477 2.4856
Ni 4.0922 3.6086 1.2588
Li 0.0378 4.2812 7.4569
Ni 2.0600 5.0353 6.2014
Ni 4.0737 3.6060 6.2014
Ni 0.0000 0.0000 2.4856
Ni 2.0600 5.0353 8.7124
Ni 2.0103 0.6757 1.2588
Si 3.9818 1.4816 2.4856
Ni 2.0103 0.6757 3.7125
CELL_PARAMETERS angstrom
6.0805 -0.0081 0.0000
-2.0137 5.7374 0.0000
0.0000 0.0000 9.9425
```

***

Model b:
Computed, not measured: a relaxed structure of LiSiNi6 at the GGA-PBE level of DFT. Values from VASP.

As for the space group: No. 166.

The structure in Quantum ESPRESSO input format:
```
&SYSTEM
  ibrav = 0, nat = 8, ntyp = 3
/
ATOMIC_SPECIES
Ni 58.69 Ni.upf
Si 28.09 Si.upf
Li 6.94 Li.upf
ATOMIC_POSITIONS angstrom
Ni 0.7860 0.8771 2.7675
Si 0.0000 0.0000 0.0000
Ni 2.5374 1.0695 1.2098
Ni 2.4305 4.4742 5.0609
Ni 4.1820 4.6666 3.5032
Ni 4.1820 2.9046 5.0609
Ni 0.7860 2.6391 1.2098
Li 2.4840 2.7719 3.1354
CELL_PARAMETERS angstrom
4.6974 0.6522 0.7377
0.1353 4.7406 0.7377
0.1353 0.1509 4.7953
```

***

Verdict on stability: model b comes out at the bottom.


MnTc2Os | SCAN | single point on PBEsol structure

Calculated values
* N(E_F): 3.13 states/eV per cell
### Assignment
Retype every line above that contains the word "LiSiNi6", please.
### Written answer
Computed, not measured: a relaxed structure of LiSiNi6 at the GGA-PBE level of DFT. Values from VASP.
Computed, not measured: a relaxed structure of LiSiNi6 at the GGA-PBE level of DFT. Values from VASP.